[Source]
........
1.
99
Properties=species:S:1:pos:R:3:mulliken_charge:R:1 method="wB97M-V/def2-TZVPD" lumo_ev=-0.35 molar_mass_g_mol=707.65 de_lowest_kj_mol=0.00
C 1.461 2.820 -0.913 -0.508
C 0.277 3.091 -1.842 0.045
C 0.538 2.634 -3.280 -1.605
C 0.910 1.163 -3.344 0.648
C -0.297 0.213 -3.467 -1.553
C -0.657 -0.388 -2.142 0.864
C -1.753 0.099 -1.499 -0.852
C -2.129 -0.413 -0.237 0.573
N -3.181 -0.059 0.507 -0.672
S -3.096 -0.938 1.847 0.097
N -1.793 -1.808 1.551 -0.484
C -1.333 -1.418 0.351 0.429
C -0.199 -1.927 -0.321 -0.861
C 0.156 -1.440 -1.550 0.314
B 1.415 -1.976 -2.350 0.520
O 1.222 -2.466 -3.653 -0.562
N 2.736 -2.023 -1.822 0.048
C 3.777 -1.622 -2.781 -1.026
C 2.938 -1.403 -0.503 -0.978
H 1.673 3.658 -0.260 0.441
H 1.295 1.913 -0.334 0.088
H 2.347 2.633 -1.517 -0.222
H -0.637 2.620 -1.491 -0.047
H 0.088 4.159 -1.856 0.501
H -0.358 2.851 -3.860 0.544
H 1.332 3.251 -3.696 0.276
H 1.547 1.027 -4.218 0.312
H 1.521 0.902 -2.483 -0.348
H -0.148 -0.529 -4.234 0.016
H -1.140 0.811 -3.801 0.708
H -2.352 0.871 -1.954 0.533
H 0.372 -2.707 0.157 0.726
H 1.560 -1.834 -4.296 0.347
H 3.505 -0.747 -3.366 0.245
H 3.929 -2.430 -3.493 0.253
H 4.722 -1.459 -2.281 0.386
H 2.454 -1.985 0.268 0.328
H 3.999 -1.434 -0.273 0.408
H 2.640 -0.356 -0.462 0.207
O -0.831 4.717 0.500 -0.597
C -1.096 3.921 1.352 0.476
O -1.609 2.707 1.042 -0.263
C -1.932 1.978 2.239 0.051
C -1.075 2.599 3.329 -0.168
C -0.973 4.052 2.861 -0.716
H -2.999 2.091 2.438 0.252
H -1.716 0.925 2.074 -0.169
H -1.511 2.462 4.319 0.033
H -0.080 2.144 3.320 0.348
H -1.806 4.659 3.222 0.301
H -0.032 4.523 3.129 0.342
O -3.095 1.995 5.536 -0.677
C -2.959 0.877 5.949 0.598
O -3.586 -0.173 5.383 -0.309
C -3.332 -1.378 6.135 0.495
C -2.042 -1.100 6.898 -0.552
C -2.137 0.409 7.135 -0.598
H -4.180 -1.555 6.798 0.105
H -3.252 -2.211 5.445 -0.399
H -1.947 -1.693 7.804 0.447
H -1.183 -1.318 6.263 0.268
H -2.683 0.651 8.047 0.261
H -1.169 0.902 7.145 0.339
O 4.292 1.678 -2.396 -0.471
C 5.050 2.596 -2.505 0.438
O 4.704 3.745 -3.124 -0.342
C 5.832 4.634 -3.203 -0.480
C 6.773 4.181 -2.093 -0.524
C 6.493 2.679 -2.040 -0.483
H 6.279 4.534 -4.194 0.276
H 5.481 5.655 -3.078 0.319
H 7.813 4.437 -2.282 0.334
H 6.479 4.642 -1.149 0.274
H 7.113 2.118 -2.741 0.287
H 6.595 2.260 -1.043 0.302
O -2.238 -0.689 -7.992 -0.602
C -2.311 -1.500 -7.119 0.444
O -2.248 -1.168 -5.809 -0.332
C -2.253 -2.352 -4.987 0.034
C -2.888 -3.433 -5.856 -0.610
C -2.447 -3.007 -7.256 -0.405
H -1.223 -2.588 -4.714 0.027
H -2.818 -2.150 -4.080 0.244
H -2.581 -4.438 -5.576 0.360
H -3.975 -3.378 -5.782 0.277
H -1.472 -3.417 -7.523 0.241
H -3.173 -3.253 -8.026 0.333
O -2.005 -3.201 7.937 -0.611
C -2.154 -3.552 6.803 0.734
O -3.365 -3.548 6.199 -0.427
C -3.265 -4.105 4.873 -0.748
C -1.801 -3.943 4.487 -0.158
C -1.102 -4.069 5.840 -0.625
H -3.575 -5.151 4.915 0.373
H -3.943 -3.566 4.216 0.385
H -1.471 -4.664 3.743 0.472
H -1.636 -2.946 4.080 0.027
H -0.875 -5.105 6.098 0.305
H -0.199 -3.470 5.909 0.324

2.
137
Properties=species:S:1:pos:R:3:mulliken_charge:R:1 method="wB97M-V/def2-TZVPD" lumo_ev="-0.31 / -0.32" molar_mass_g_mol=1261.95 total_charge=-1
Rb 0.069 1.470 0.875 0.513
O 2.131 3.408 3.165 -0.513
H 1.265 3.520 3.631 0.226
H 2.242 4.117 2.512 0.453
O -2.351 0.999 -1.078 -0.513
H -3.265 0.893 -0.750 0.232
H -2.143 0.134 -1.569 0.575
O -0.634 -1.728 1.092 -0.462
H -1.363 -1.199 1.502 0.304
H 0.022 -2.016 1.801 0.259
O 1.745 0.733 -1.417 -0.405
H 2.675 0.664 -1.739 0.215
H 1.258 1.370 -2.032 0.362
O -0.021 2.512 -2.425 -0.706
H -0.871 2.073 -2.233 0.313
H 0.008 3.221 -1.755 0.325
O -1.835 0.108 3.019 -0.574
H -0.956 -0.013 3.412 0.560
H -2.444 -0.541 3.470 0.246
O -1.618 4.206 2.923 -0.241
N -2.381 4.290 1.883 0.370
C -2.284 -4.836 -0.060 -0.553
S -2.546 -6.697 -0.076 0.456
C -4.407 -6.833 -0.270 -0.921
O -1.929 -7.148 -1.367 -0.571
H -1.493 -4.597 -0.814 0.031
H -1.800 -4.659 0.845 0.403
H -3.245 -4.249 -0.171 0.370
H -4.874 -5.861 -0.379 0.289
H -4.693 -7.400 0.639 0.325
H -4.493 -7.432 -1.170 0.301
F 3.439 -1.789 2.735 -0.323
........

[Wanted]
Your job: print the whole of the listing above without additions.

[Outcome]
1.
99
Properties=species:S:1:pos:R:3:mulliken_charge:R:1 method="wB97M-V/def2-TZVPD" lumo_ev=-0.35 molar_mass_g_mol=707.65 de_lowest_kj_mol=0.00
C 1.461 2.820 -0.913 -0.508
C 0.277 3.091 -1.842 0.045
C 0.538 2.634 -3.280 -1.605
C 0.910 1.163 -3.344 0.648
C -0.297 0.213 -3.467 -1.553
C -0.657 -0.388 -2.142 0.864
C -1.753 0.099 -1.499 -0.852
C -2.129 -0.413 -0.237 0.573
N -3.181 -0.059 0.507 -0.672
S -3.096 -0.938 1.847 0.097
N -1.793 -1.808 1.551 -0.484
C -1.333 -1.418 0.351 0.429
C -0.199 -1.927 -0.321 -0.861
C 0.156 -1.440 -1.550 0.314
B 1.415 -1.976 -2.350 0.520
O 1.222 -2.466 -3.653 -0.562
N 2.736 -2.023 -1.822 0.048
C 3.777 -1.622 -2.781 -1.026
C 2.938 -1.403 -0.503 -0.978
H 1.673 3.658 -0.260 0.441
H 1.295 1.913 -0.334 0.088
H 2.347 2.633 -1.517 -0.222
H -0.637 2.620 -1.491 -0.047
H 0.088 4.159 -1.856 0.501
H -0.358 2.851 -3.860 0.544
H 1.332 3.251 -3.696 0.276
H 1.547 1.027 -4.218 0.312
H 1.521 0.902 -2.483 -0.348
H -0.148 -0.529 -4.234 0.016
H -1.140 0.811 -3.801 0.708
H -2.352 0.871 -1.954 0.533
H 0.372 -2.707 0.157 0.726
H 1.560 -1.834 -4.296 0.347
H 3.505 -0.747 -3.366 0.245
H 3.929 -2.430 -3.493 0.253
H 4.722 -1.459 -2.281 0.386
H 2.454 -1.985 0.268 0.328
H 3.999 -1.434 -0.273 0.408
H 2.640 -0.356 -0.462 0.207
O -0.831 4.717 0.500 -0.597
C -1.096 3.921 1.352 0.476
O -1.609 2.707 1.042 -0.263
C -1.932 1.978 2.239 0.051
C -1.075 2.599 3.329 -0.168
C -0.973 4.052 2.861 -0.716
H -2.999 2.091 2.438 0.252
H -1.716 0.925 2.074 -0.169
H -1.511 2.462 4.319 0.033
H -0.080 2.144 3.320 0.348
H -1.806 4.659 3.222 0.301
H -0.032 4.523 3.129 0.342
O -3.095 1.995 5.536 -0.677
C -2.959 0.877 5.949 0.598
O -3.586 -0.173 5.383 -0.309
C -3.332 -1.378 6.135 0.495
C -2.042 -1.100 6.898 -0.552
C -2.137 0.409 7.135 -0.598
H -4.180 -1.555 6.798 0.105
H -3.252 -2.211 5.445 -0.399
H -1.947 -1.693 7.804 0.447
H -1.183 -1.318 6.263 0.268
H -2.683 0.651 8.047 0.261
H -1.169 0.902 7.145 0.339
O 4.292 1.678 -2.396 -0.471
C 5.050 2.596 -2.505 0.438
O 4.704 3.745 -3.124 -0.342
C 5.832 4.634 -3.203 -0.480
C 6.773 4.181 -2.093 -0.524
C 6.493 2.679 -2.040 -0.483
H 6.279 4.534 -4.194 0.276
H 5.481 5.655 -3.078 0.319
H 7.813 4.437 -2.282 0.334
H 6.479 4.642 -1.149 0.274
H 7.113 2.118 -2.741 0.287
H 6.595 2.260 -1.043 0.302
O -2.238 -0.689 -7.992 -0.602
C -2.311 -1.500 -7.119 0.444
O -2.248 -1.168 -5.809 -0.332
C -2.253 -2.352 -4.987 0.034
C -2.888 -3.433 -5.856 -0.610
C -2.447 -3.007 -7.256 -0.405
H -1.223 -2.588 -4.714 0.027
H -2.818 -2.150 -4.080 0.244
H -2.581 -4.438 -5.576 0.360
H -3.975 -3.378 -5.782 0.277
H -1.472 -3.417 -7.523 0.241
H -3.173 -3.253 -8.026 0.333
O -2.005 -3.201 7.937 -0.611
C -2.154 -3.552 6.803 0.734
O -3.365 -3.548 6.199 -0.427
C -3.265 -4.105 4.873 -0.748
C -1.801 -3.943 4.487 -0.158
C -1.102 -4.069 5.840 -0.625
H -3.575 -5.151 4.915 0.373
H -3.943 -3.566 4.216 0.385
H -1.471 -4.664 3.743 0.472
H -1.636 -2.946 4.080 0.027
H -0.875 -5.105 6.098 0.305
H -0.199 -3.470 5.909 0.324

2.
137
Properties=species:S:1:pos:R:3:mulliken_charge:R:1 method="wB97M-V/def2-TZVPD" lumo_ev="-0.31 / -0.32" molar_mass_g_mol=1261.95 total_charge=-1
Rb 0.069 1.470 0.875 0.513
O 2.131 3.408 3.165 -0.513
H 1.265 3.520 3.631 0.226
H 2.242 4.117 2.512 0.453
O -2.351 0.999 -1.078 -0.513
H -3.265 0.893 -0.750 0.232
H -2.143 0.134 -1.569 0.575
O -0.634 -1.728 1.092 -0.462
H -1.363 -1.199 1.502 0.304
H 0.022 -2.016 1.801 0.259
O 1.745 0.733 -1.417 -0.405
H 2.675 0.664 -1.739 0.215
H 1.258 1.370 -2.032 0.362
O -0.021 2.512 -2.425 -0.706
H -0.871 2.073 -2.233 0.313
H 0.008 3.221 -1.755 0.325
O -1.835 0.108 3.019 -0.574
H -0.956 -0.013 3.412 0.560
H -2.444 -0.541 3.470 0.246
O -1.618 4.206 2.923 -0.241
N -2.381 4.290 1.883 0.370
C -2.284 -4.836 -0.060 -0.553
S -2.546 -6.697 -0.076 0.456
C -4.407 -6.833 -0.270 -0.921
O -1.929 -7.148 -1.367 -0.571
H -1.493 -4.597 -0.814 0.031
H -1.800 -4.659 0.845 0.403
H -3.245 -4.249 -0.171 0.370
H -4.874 -5.861 -0.379 0.289
H -4.693 -7.400 0.639 0.325
H -4.493 -7.432 -1.170 0.301
F 3.439 -1.789 2.735 -0.323